........
# Tb4PrDy4
Computed powder diffractogram, Cu Kα X-rays. Input: a GGA-PBE-relaxed structure.

Cell and atoms:
```
data_Tb4PrDy4
_cell_length_a 6.2260
_cell_length_b 8.8791
_cell_length_c 10.7860
_cell_angle_alpha 78.41
_cell_angle_beta 89.95
_cell_angle_gamma 83.22
_space_group_name_H-M_alt 'P -1'
_space_group_IT_number 2
loop_
_space_group_symop_operation_xyz
'x,y,z'
'-x,-y,-z'
loop_
_atom_site_label
_atom_site_type_symbol
_atom_site_fract_x
_atom_site_fract_y
_atom_site_fract_z
_atom_site_occupancy
Tb1 Tb 0.1382 0.1652 0.1390 1
Tb2 Tb 0.1383 0.1654 0.4736 1
Tb3 Tb 0.1405 0.1655 0.8058 1
Tb4 Tb 0.3619 0.8344 0.0264 1
Pr1 Pr 0.2501 0.5000 0.2501 1
Dy1 Dy 0.2495 0.5003 0.9165 1
Dy2 Dy 0.2507 0.5002 0.5831 1
Dy3 Dy 0.3599 0.8344 0.6936 1
Dy4 Dy 0.3623 0.8346 0.3615 1
```

Top 10 peaks for 15° ≤ 2θ ≤ 90°, in order of rising 2θ:
2theta, intensity, (hkl)
28.88, 366, 1 0 -3
29.51, 161, -1 1 3
31.07, 508, 0 3 0
31.89, 1000, 1 2 3
33.58, 893, 2 2 0
50.79, 388, 3 1 3
54.69, 213, 1 5 3
57.98, 192, 2 5 0
60.72, 302, 3 4 3
61.24, 155, -2 2 6

=====

# Tb8PrDy3
Computed powder diffractogram, Cu Kα X-rays. Input: a GGA-PBE-relaxed structure.

Cell and atoms:
```
data_Tb8PrDy3
_cell_length_a 6.4510
_cell_length_b 11.3222
_cell_length_c 11.4288
_cell_angle_alpha 90.00
_cell_angle_beta 90.00
_cell_angle_gamma 90.00
_space_group_name_H-M_alt 'I m m m'
_space_group_IT_number 71
_space_group_name_Hall '-I 2 2'
loop_
_atom_site_label
_atom_site_type_symbol
_atom_site_fract_x
_atom_site_fract_y
_atom_site_fract_z
_atom_site_occupancy
Tb1 Tb 0.0000 0.1683 0.2493 1
Tb2 Tb 0.2459 0.2576 0.5000 1
Pr1 Pr 0.0000 0.0000 0.5000 1
Dy1 Dy 0.0000 0.0000 0.0000 1
Dy2 Dy 0.0000 0.5000 0.2573 1
```

Top 10 peaks for 15° ≤ 2θ ≤ 90°, in order of rising 2θ:
2theta, intensity, (hkl)
27.38, 167, 1 3 0
31.31, 502, 0 0 4
31.61, 1000, 1 3 2
31.88, 673, 2 0 2
35.68, 352, 2 2 2
45.33, 189, 2 2 4
51.46, 220, 3 3 2
55.92, 171, 1 3 6
56.50, 185, 2 6 0
66.02, 248, 2 6 4

=====

For Tb12Pr2Ho5, a structure optimized by DFT (PBE) gives the theoretical powder diffraction line list in this record (a wavelength of 1.5418 Å).

Largest 10 diffraction maxima, sorted by position, 10 to 90 degrees two-theta:
2θ 31.11, d 2.875, intensity 23, (0 3 -1)
2θ 31.26, d 2.861, intensity 27, (0 1 3)
2θ 31.45, d 2.844, intensity 100, (2 -1 2)
2θ 31.97, d 2.800, intensity 31, (-1 1 3)
2θ 32.14, d 2.785, intensity 42, (2 1 -2)
2θ 32.27, d 2.774, intensity 41, (1 2 1)
2θ 32.93, d 2.720, intensity 39, (0 2 -4)
2θ 33.80, d 2.652, intensity 15, (-2 2 1)
2θ 57.59, d 1.601, intensity 13, (0 5 -5)
2θ 58.75, d 1.572, intensity 13, (2 3 -6)

Structural model:
a b c (Å): 6.733 8.834 11.385
angles (deg): 110.95 92.24 100.45
Fractional coordinates of all 19 atoms:
Tb 0.111 0.191 0.225
Tb 0.115 0.349 0.757
Tb 0.162 0.942 0.585
Tb 0.340 0.929 0.313
Tb 0.354 0.526 0.141
Tb 0.382 0.718 0.752
Tb 0.618 0.282 0.248
Tb 0.646 0.474 0.859
Tb 0.660 0.071 0.687
Tb 0.838 0.058 0.415
Tb 0.885 0.651 0.243
Tb 0.889 0.809 0.775
Pr 0.117 0.758 0.013
Pr 0.883 0.242 0.987
Ho 0.000 0.500 0.500
Ho 0.345 0.116 0.932
Ho 0.455 0.317 0.535
Ho 0.545 0.683 0.465
Ho 0.655 0.884 0.068

=====

Diffraction record for ThHg11. The powder X-ray diffraction pattern is calculated, not measured: it uses DFT lattice parameters and positions (GGA-PBE) and Cu Kα, 1.54184 Å.

Peak list (8 most intense, 5 to 70 degrees two-theta, low angle first)
32.20°, 2.780 Å, rel. 28; 33.77°, 2.654 Å, rel. 55; 34.73°, 2.583 Å, rel. 100; 40.79°, 2.212 Å, rel. 15; 49.22°, 1.851 Å, rel. 19; 61.64°, 1.505 Å, rel. 20; 62.26°, 1.491 Å, rel. 19; 67.38°, 1.390 Å, rel. 30

Structure:
Cell: 10.3315 10.3315 3.2977 Å, 90.00 90.00 120.00°
Fractional coordinates of all 12 atoms:
1 Th 0.0000 0.0000 0.0000
2 Hg 0.0000 0.5000 0.0000
3 Hg 0.1713 0.3426 0.5000
4 Hg 0.1713 0.8287 0.5000
5 Hg 0.3333 0.6667 0.0000
6 Hg 0.3426 0.1713 0.5000
7 Hg 0.5000 0.0000 0.0000
8 Hg 0.5000 0.5000 0.0000
9 Hg 0.6574 0.8287 0.5000
10 Hg 0.6667 0.3333 0.0000
11 Hg 0.8287 0.1713 0.5000
........

Now write out everything further up unchanged.

# Tb4PrDy4
Computed powder diffractogram, Cu Kα X-rays. Input: a GGA-PBE-relaxed structure.

Cell and atoms:
```
data_Tb4PrDy4
_cell_length_a 6.2260
_cell_length_b 8.8791
_cell_length_c 10.7860
_cell_angle_alpha 78.41
_cell_angle_beta 89.95
_cell_angle_gamma 83.22
_space_group_name_H-M_alt 'P -1'
_space_group_IT_number 2
loop_
_space_group_symop_operation_xyz
'x,y,z'
'-x,-y,-z'
loop_
_atom_site_label
_atom_site_type_symbol
_atom_site_fract_x
_atom_site_fract_y
_atom_site_fract_z
_atom_site_occupancy
Tb1 Tb 0.1382 0.1652 0.1390 1
Tb2 Tb 0.1383 0.1654 0.4736 1
Tb3 Tb 0.1405 0.1655 0.8058 1
Tb4 Tb 0.3619 0.8344 0.0264 1
Pr1 Pr 0.2501 0.5000 0.2501 1
Dy1 Dy 0.2495 0.5003 0.9165 1
Dy2 Dy 0.2507 0.5002 0.5831 1
Dy3 Dy 0.3599 0.8344 0.6936 1
Dy4 Dy 0.3623 0.8346 0.3615 1
```

Top 10 peaks for 15° ≤ 2θ ≤ 90°, in order of rising 2θ:
2theta, intensity, (hkl)
28.88, 366, 1 0 -3
29.51, 161, -1 1 3
31.07, 508, 0 3 0
31.89, 1000, 1 2 3
33.58, 893, 2 2 0
50.79, 388, 3 1 3
54.69, 213, 1 5 3
57.98, 192, 2 5 0
60.72, 302, 3 4 3
61.24, 155, -2 2 6

=====

# Tb8PrDy3
Computed powder diffractogram, Cu Kα X-rays. Input: a GGA-PBE-relaxed structure.

Cell and atoms:
```
data_Tb8PrDy3
_cell_length_a 6.4510
_cell_length_b 11.3222
_cell_length_c 11.4288
_cell_angle_alpha 90.00
_cell_angle_beta 90.00
_cell_angle_gamma 90.00
_space_group_name_H-M_alt 'I m m m'
_space_group_IT_number 71
_space_group_name_Hall '-I 2 2'
loop_
_atom_site_label
_atom_site_type_symbol
_atom_site_fract_x
_atom_site_fract_y
_atom_site_fract_z
_atom_site_occupancy
Tb1 Tb 0.0000 0.1683 0.2493 1
Tb2 Tb 0.2459 0.2576 0.5000 1
Pr1 Pr 0.0000 0.0000 0.5000 1
Dy1 Dy 0.0000 0.0000 0.0000 1
Dy2 Dy 0.0000 0.5000 0.2573 1
```

Top 10 peaks for 15° ≤ 2θ ≤ 90°, in order of rising 2θ:
2theta, intensity, (hkl)
27.38, 167, 1 3 0
31.31, 502, 0 0 4
31.61, 1000, 1 3 2
31.88, 673, 2 0 2
35.68, 352, 2 2 2
45.33, 189, 2 2 4
51.46, 220, 3 3 2
55.92, 171, 1 3 6
56.50, 185, 2 6 0
66.02, 248, 2 6 4

=====

For Tb12Pr2Ho5, a structure optimized by DFT (PBE) gives the theoretical powder diffraction line list in this record (a wavelength of 1.5418 Å).

Largest 10 diffraction maxima, sorted by position, 10 to 90 degrees two-theta:
2θ 31.11, d 2.875, intensity 23, (0 3 -1)
2θ 31.26, d 2.861, intensity 27, (0 1 3)
2θ 31.45, d 2.844, intensity 100, (2 -1 2)
2θ 31.97, d 2.800, intensity 31, (-1 1 3)
2θ 32.14, d 2.785, intensity 42, (2 1 -2)
2θ 32.27, d 2.774, intensity 41, (1 2 1)
2θ 32.93, d 2.720, intensity 39, (0 2 -4)
2θ 33.80, d 2.652, intensity 15, (-2 2 1)
2θ 57.59, d 1.601, intensity 13, (0 5 -5)
2θ 58.75, d 1.572, intensity 13, (2 3 -6)

Structural model:
a b c (Å): 6.733 8.834 11.385
angles (deg): 110.95 92.24 100.45
Fractional coordinates of all 19 atoms:
Tb 0.111 0.191 0.225
Tb 0.115 0.349 0.757
Tb 0.162 0.942 0.585
Tb 0.340 0.929 0.313
Tb 0.354 0.526 0.141
Tb 0.382 0.718 0.752
Tb 0.618 0.282 0.248
Tb 0.646 0.474 0.859
Tb 0.660 0.071 0.687
Tb 0.838 0.058 0.415
Tb 0.885 0.651 0.243
Tb 0.889 0.809 0.775
Pr 0.117 0.758 0.013
Pr 0.883 0.242 0.987
Ho 0.000 0.500 0.500
Ho 0.345 0.116 0.932
Ho 0.455 0.317 0.535
Ho 0.545 0.683 0.465
Ho 0.655 0.884 0.068

=====

Diffraction record for ThHg11. The powder X-ray diffraction pattern is calculated, not measured: it uses DFT lattice parameters and positions (GGA-PBE) and Cu Kα, 1.54184 Å.

Peak list (8 most intense, 5 to 70 degrees two-theta, low angle first)
32.20°, 2.780 Å, rel. 28; 33.77°, 2.654 Å, rel. 55; 34.73°, 2.583 Å, rel. 100; 40.79°, 2.212 Å, rel. 15; 49.22°, 1.851 Å, rel. 19; 61.64°, 1.505 Å, rel. 20; 62.26°, 1.491 Å, rel. 19; 67.38°, 1.390 Å, rel. 30

Structure:
Cell: 10.3315 10.3315 3.2977 Å, 90.00 90.00 120.00°
Fractional coordinates of all 12 atoms:
1 Th 0.0000 0.0000 0.0000
2 Hg 0.0000 0.5000 0.0000
3 Hg 0.1713 0.3426 0.5000
4 Hg 0.1713 0.8287 0.5000
5 Hg 0.3333 0.6667 0.0000
6 Hg 0.3426 0.1713 0.5000
7 Hg 0.5000 0.0000 0.0000
8 Hg 0.5000 0.5000 0.0000
9 Hg 0.6574 0.8287 0.5000
10 Hg 0.6667 0.3333 0.0000
11 Hg 0.8287 0.1713 0.5000